Entries.
'''
Model w:
Entry from the OMol25 dataset: a 2-piece molecular cluster, C5H12N3O overall (the ωB97M-V functional and the def2-TZVPD basis).

Summary:
LUMO level: -4.91 eV
net charge: +1
2S+1: 1

Geometry as XYZ:
```
21
Properties=species:S:1:pos:R:3:lowdin_charge:R:1
O -3.02 -0.57 0.40 0.0966
N -1.92 -1.00 0.18 -0.0051
N -1.09 1.16 0.63 0.0133
N 0.27 -0.37 -0.26 -0.2351
C 1.23 -1.42 0.06 -0.0188
C -0.29 -0.61 -1.61 0.0224
C 1.05 0.94 -0.16 -0.0193
C 0.15 1.79 0.83 -0.1363
C -0.88 -0.18 0.60 -0.4368
H 0.33 2.91 0.61 0.1636
H -2.01 1.56 1.06 0.2204
H 0.56 1.66 1.86 0.1250
H 1.95 -1.59 -0.67 0.1005
H 2.02 0.72 0.25 0.1209
H -1.11 0.08 -1.84 0.1379
H -0.61 -0.81 2.07 0.2857
H 0.33 -0.39 -2.42 0.1003
H 0.92 -2.43 0.07 0.1000
H 1.16 1.42 -1.12 0.1339
H 1.58 -1.32 1.17 0.1549
H -0.63 -1.55 -1.72 0.0759
```

Model x:
Entry from the OMol25 dataset: an isolated ion of composition C5H12N3O and charge +1 (the ωB97M-V functional and the def2-TZVPD basis).

Summary:
structure (SMILES): NCCC(=O)CC(N)=[NH2+]
LUMO level: -3.37 eV
net charge: +1
2S+1: 1

Geometry as XYZ:
```
21
Properties=species:S:1:pos:R:3:lowdin_charge:R:1
O 1.47 1.71 1.41 0.1427
N 2.51 -1.55 -0.26 0.1908
N -1.91 0.04 -1.01 -0.0197
N 0.27 -1.46 -0.95 0.2117
C -1.27 1.38 -0.78 -0.1878
C 0.67 -0.48 1.45 0.0657
C -0.78 1.52 0.71 -0.0843
C 0.55 0.98 1.21 -0.4599
C 1.23 -1.29 -0.06 -0.2060
H -0.61 -0.96 -0.88 0.0244
H 1.34 -0.78 2.26 0.1259
H 2.85 -2.33 -0.91 0.1836
H -0.41 1.37 -1.38 0.0973
H 0.31 -1.75 -1.86 0.1042
H -2.75 0.07 -0.38 0.1259
H -0.67 2.63 0.94 0.1502
H -2.36 0.12 -1.93 0.1040
H -1.81 2.23 -0.95 0.0840
H 3.17 -1.46 0.48 0.1188
H -0.28 -0.98 1.48 0.0934
H -1.51 1.00 1.40 0.1351
```

It is model x that is the most stable of them.

Model w:
Entry from the OMol25 dataset: a 2-piece molecular cluster, C5H14NO2 overall (the ωB97M-V functional and the def2-TZVPD basis).

Summary:
LUMO level: 3.86 eV
net charge: -1
2S+1: 1

Geometry as XYZ:
```
22
Properties=species:S:1:pos:R:3:lowdin_charge:R:1
O -1.07 0.85 -2.05 -0.4496
O 0.70 2.19 -0.76 -0.1838
N 0.13 -0.91 0.09 -0.0614
C 1.57 1.25 -0.18 -0.3037
C -1.20 -2.88 -0.07 -0.1622
C 0.12 1.08 1.62 -0.0872
C -0.73 -1.74 0.87 -0.3543
C 1.00 0.13 0.70 -0.3053
H -0.45 1.76 1.03 0.0521
H -1.51 -2.39 -1.04 0.0737
H 0.79 1.66 2.19 0.0505
H -1.98 0.55 -1.94 -0.1048
H 2.21 1.81 0.49 0.0960
H -1.78 -1.29 1.20 0.1175
H 2.20 0.89 -0.96 0.0925
H -0.18 -2.29 1.79 0.1388
H -0.72 0.67 2.17 0.0536
H 1.65 -0.28 1.45 0.1150
H -0.34 -3.50 -0.30 0.0352
H -0.42 -0.52 -0.69 0.0665
H -1.91 -3.79 0.17 0.0862
H -0.13 1.68 -1.26 0.0347
```

Model x:
Entry from the OMol25 dataset: a 3-piece molecular cluster, C5H14NO2 overall (the ωB97M-V functional and the def2-TZVPD basis).

Summary:
LUMO level: 2.23 eV
net charge: -1
2S+1: 1

Geometry as XYZ:
```
22
Properties=species:S:1:pos:R:3:lowdin_charge:R:1
O -2.63 -0.49 -1.50 -0.3939
O -2.18 0.10 0.89 -0.1988
N 2.43 -0.54 0.78 -0.1210
C -0.68 0.00 0.97 -0.4062
C 0.01 1.14 1.47 0.1384
C 1.71 0.28 -0.15 -0.6009
C 2.18 -0.23 -1.52 -0.1315
C 0.11 0.41 -0.25 -0.1522
H 1.98 1.31 -0.06 0.0793
H -0.07 1.41 -0.69 0.1450
H 2.00 -1.33 -1.54 0.0746
H -0.58 2.06 1.49 0.1171
H -1.72 -2.16 -0.14 0.0623
H -0.21 -0.31 -1.01 0.1186
H 1.80 -1.27 1.12 -0.0691
H -3.52 -0.42 -1.79 -0.1018
H -1.18 -2.15 -0.60 0.0564
H 0.84 1.01 2.25 0.1343
H -0.34 -0.98 1.35 0.1335
H 3.28 -0.05 -1.59 0.0680
H -2.46 -0.19 -0.19 -0.0063
H 1.66 0.27 -2.35 0.0543
```

Model y:
Entry from the OMol25 dataset: a 2-piece molecular cluster, C5H14NO2 overall (the ωB97M-V functional and the def2-TZVPD basis).

Summary:
LUMO level: 3.67 eV
net charge: -1
2S+1: 1

Geometry as XYZ:
```
22
Properties=species:S:1:pos:R:3:lowdin_charge:R:1
O 0.19 -4.27 -2.86 -0.1608
O -0.53 -2.37 -1.17 -0.3161
N -0.75 -0.15 -0.39 -0.0894
C 0.87 1.91 1.65 -0.2800
C -0.96 -1.13 -1.46 -0.5222
C 0.48 0.44 1.68 -0.2354
C -0.14 2.77 0.89 -0.1271
C 0.50 -0.30 0.33 -0.2525
H 0.30 3.71 0.55 0.0574
'''
Work order.
Now print only the lines above with the word "C5H14NO2" in them.
Written answer.
Entry from the OMol25 dataset: a 2-piece molecular cluster, C5H14NO2 overall (the ωB97M-V functional and the def2-TZVPD basis).
Entry from the OMol25 dataset: a 3-piece molecular cluster, C5H14NO2 overall (the ωB97M-V functional and the def2-TZVPD basis).
Entry from the OMol25 dataset: a 2-piece molecular cluster, C5H14NO2 overall (the ωB97M-V functional and the def2-TZVPD basis).